== Data ==
____________
# La3AsI3, relaxed, DFT PBE-GGA
# ΔH_f (0 K) in eV per atom: -1.6314
data_La3AsI3
_cell_length_a 12.6714
_cell_length_b 12.6714
_cell_length_c 12.6714
_cell_angle_alpha 90.00
_cell_angle_beta 90.00
_cell_angle_gamma 90.00
_space_group_name_H-M_alt 'I 41 3 2'
_space_group_IT_number 214
_space_group_name_Hall 'I 4bd 2c 3'
loop_
_atom_site_label
_atom_site_type_symbol
_atom_site_fract_x
_atom_site_fract_y
_atom_site_fract_z
La1 La 0.1097 0.1403 0.6250
As1 As 0.1250 0.3750 0.6250
I1 I 0.1163 0.3663 0.1250

* * * * *

No. 1
Entry from the Materials Project: a relaxed MgFeCo2O6 crystal (PBE+U).

The formation enthalpy at 0 K comes out at -1.4692 eV/atom. For the energy with MP2020 corrections, the calculation gives -6.87 eV per atom.

Unit cell a=6.7340 b=3.1080 c=6.2438 alpha=90.01 beta=108.12 gamma=76.61
Last column: nearest neighbours and their distance in Å.
Atoms (fractional coordinates):
O (0.7094, 0.1457, 0.9268)  3 Co 1.85-1.97
Mg (0.8569, 0.5703, 0.4212)  4 O 1.94-2.06
Fe (0.3514, 0.3240, 0.3239)  6 O 1.97-2.09
Co (0.0051, 0.9973, 0.9930)  2 O 1.78-1.85
O (0.0267, 0.4871, 0.2170)  1 Mg 1.94, 1 Fe 2.02, 2 Co 2.06-2.07
O (0.2913, 0.8542, 0.0879)  1 Co 1.78
O (0.6694, 0.1646, 0.4356)  1 Fe 1.97, 2 Mg 2.00
Co (0.6422, 0.6793, 0.7210)  4 O 1.82-1.98
O (0.9557, 0.5214, 0.7686)  3 Co 1.98-2.05, 1 Mg 2.06
O (0.3620, 0.8188, 0.5424)  1 Co 1.82

---

No. 2
Entry from the Materials Project: a relaxed MgFe4Co2O8 crystal (PBE+U).

The formation enthalpy at 0 K comes out at -1.4918 eV/atom. For the energy with MP2020 corrections, the calculation gives -7.44 eV per atom.

Unit cell a=6.1519 b=6.6393 c=6.1519 alpha=57.01 beta=58.90 gamma=57.01
Last column: nearest neighbours and their distance in Å.
Atoms (fractional coordinates):
Fe (0.5331, 0.6932, 0.0827)  5 O 2.03-2.22
O (0.9455, 0.2927, 0.4590)  1 Mg 1.99, 2 Co 2.12-2.19, 1 Fe 2.15
Co (0.6271, 0.1587, 0.6271)  4 O 2.01-2.12
O (0.3930, 0.8061, 0.3930)  3 Fe 1.99-2.03, 1 Co 2.00
O (0.8702, 0.8278, 0.8702)  3 Fe 2.02-2.18, 1 Mg 2.03, 1 Co 2.11
O (0.8701, 0.4229, 0.8701)  3 Fe 2.01-2.22, 1 Mg 2.04, 1 Co 2.06
Co (0.6309, 0.5924, 0.6309)  4 O 2.00-2.19
Fe (0.9198, 0.0759, 0.9198)  4 O 2.01-2.02
Fe (0.0827, 0.6932, 0.5331)  5 O 2.03-2.22
O (0.4590, 0.2927, 0.9455)  1 Mg 1.99, 2 Co 2.12-2.19, 1 Fe 2.15
Fe (0.3807, 0.1178, 0.3807)  6 O 1.98-2.15
O (0.3310, 0.9333, 0.7936)  3 Fe 2.02-2.07
Mg (0.0529, 0.4421, 0.0529)  4 O 1.99-2.04
O (0.7936, 0.9333, 0.3310)  3 Fe 2.02-2.07
O (0.3863, 0.4106, 0.3863)  3 Fe 1.98-2.03, 1 Co 2.01

---

No. 3
Entry from the Materials Project: a relaxed MgFe4Co2O8 crystal (PBE+U).

The formation enthalpy at 0 K comes out at -1.5108 eV/atom. For the energy with MP2020 corrections, the calculation gives -7.46 eV per atom.

Unit cell a=6.2659 b=6.0045 c=5.9705 alpha=59.81 beta=64.03 gamma=61.37
Last column: nearest neighbours and their distance in Å.
Atoms (fractional coordinates):
O (0.8743, 0.3724, 0.9029)  3 Fe 2.11-2.23, 1 Mg 2.20, 1 Co 2.23
O (0.8730, 0.8655, 0.3961)  2 Fe 2.02-2.04, 2 Co 2.16, 1 Mg 2.19
O (0.3770, 0.3845, 0.8539)  2 Fe 2.02-2.04, 2 Co 2.16, 1 Mg 2.19
Fe (0.6250, 0.6250, 0.1250)  6 O 1.97-2.11
Fe (0.1050, 0.9363, 0.0225)  2 O 1.90-2.02
O (0.4508, 0.8567, 0.8358)  2 Fe 1.90-1.97, 2 Co 1.95
Co (0.6250, 0.1250, 0.6250)  4 O 1.95-2.16
Fe (0.1250, 0.6250, 0.6250)  6 O 2.04-2.23
Co (0.6250, 0.6250, 0.6250)  4 O 1.95-2.16
O (0.7992, 0.3933, 0.4142)  2 Fe 1.90-1.97, 2 Co 1.95
O (0.8743, 0.8504, 0.9029)  3 Fe 2.11-2.23, 1 Mg 2.20, 1 Co 2.23
Mg (0.6250, 0.1250, 0.1250)  6 O 2.19-2.20
O (0.3757, 0.8776, 0.3471)  3 Fe 2.11-2.23, 1 Mg 2.20, 1 Co 2.23
Fe (0.1450, 0.3137, 0.2275)  2 O 1.90-2.02
O (0.3757, 0.3996, 0.3471)  3 Fe 2.11-2.23, 1 Mg 2.20, 1 Co 2.23
____________
== Job ==
It remains to return the block above exactly.
== Solution ==
# La3AsI3, relaxed, DFT PBE-GGA
# ΔH_f (0 K) in eV per atom: -1.6314
data_La3AsI3
_cell_length_a 12.6714
_cell_length_b 12.6714
_cell_length_c 12.6714
_cell_angle_alpha 90.00
_cell_angle_beta 90.00
_cell_angle_gamma 90.00
_space_group_name_H-M_alt 'I 41 3 2'
_space_group_IT_number 214
_space_group_name_Hall 'I 4bd 2c 3'
loop_
_atom_site_label
_atom_site_type_symbol
_atom_site_fract_x
_atom_site_fract_y
_atom_site_fract_z
La1 La 0.1097 0.1403 0.6250
As1 As 0.1250 0.3750 0.6250
I1 I 0.1163 0.3663 0.1250

* * * * *

No. 1
Entry from the Materials Project: a relaxed MgFeCo2O6 crystal (PBE+U).

The formation enthalpy at 0 K comes out at -1.4692 eV/atom. For the energy with MP2020 corrections, the calculation gives -6.87 eV per atom.

Unit cell a=6.7340 b=3.1080 c=6.2438 alpha=90.01 beta=108.12 gamma=76.61
Last column: nearest neighbours and their distance in Å.
Atoms (fractional coordinates):
O (0.7094, 0.1457, 0.9268)  3 Co 1.85-1.97
Mg (0.8569, 0.5703, 0.4212)  4 O 1.94-2.06
Fe (0.3514, 0.3240, 0.3239)  6 O 1.97-2.09
Co (0.0051, 0.9973, 0.9930)  2 O 1.78-1.85
O (0.0267, 0.4871, 0.2170)  1 Mg 1.94, 1 Fe 2.02, 2 Co 2.06-2.07
O (0.2913, 0.8542, 0.0879)  1 Co 1.78
O (0.6694, 0.1646, 0.4356)  1 Fe 1.97, 2 Mg 2.00
Co (0.6422, 0.6793, 0.7210)  4 O 1.82-1.98
O (0.9557, 0.5214, 0.7686)  3 Co 1.98-2.05, 1 Mg 2.06
O (0.3620, 0.8188, 0.5424)  1 Co 1.82

---

No. 2
Entry from the Materials Project: a relaxed MgFe4Co2O8 crystal (PBE+U).

The formation enthalpy at 0 K comes out at -1.4918 eV/atom. For the energy with MP2020 corrections, the calculation gives -7.44 eV per atom.

Unit cell a=6.1519 b=6.6393 c=6.1519 alpha=57.01 beta=58.90 gamma=57.01
Last column: nearest neighbours and their distance in Å.
Atoms (fractional coordinates):
Fe (0.5331, 0.6932, 0.0827)  5 O 2.03-2.22
O (0.9455, 0.2927, 0.4590)  1 Mg 1.99, 2 Co 2.12-2.19, 1 Fe 2.15
Co (0.6271, 0.1587, 0.6271)  4 O 2.01-2.12
O (0.3930, 0.8061, 0.3930)  3 Fe 1.99-2.03, 1 Co 2.00
O (0.8702, 0.8278, 0.8702)  3 Fe 2.02-2.18, 1 Mg 2.03, 1 Co 2.11
O (0.8701, 0.4229, 0.8701)  3 Fe 2.01-2.22, 1 Mg 2.04, 1 Co 2.06
Co (0.6309, 0.5924, 0.6309)  4 O 2.00-2.19
Fe (0.9198, 0.0759, 0.9198)  4 O 2.01-2.02
Fe (0.0827, 0.6932, 0.5331)  5 O 2.03-2.22
O (0.4590, 0.2927, 0.9455)  1 Mg 1.99, 2 Co 2.12-2.19, 1 Fe 2.15
Fe (0.3807, 0.1178, 0.3807)  6 O 1.98-2.15
O (0.3310, 0.9333, 0.7936)  3 Fe 2.02-2.07
Mg (0.0529, 0.4421, 0.0529)  4 O 1.99-2.04
O (0.7936, 0.9333, 0.3310)  3 Fe 2.02-2.07
O (0.3863, 0.4106, 0.3863)  3 Fe 1.98-2.03, 1 Co 2.01

---

No. 3
Entry from the Materials Project: a relaxed MgFe4Co2O8 crystal (PBE+U).

The formation enthalpy at 0 K comes out at -1.5108 eV/atom. For the energy with MP2020 corrections, the calculation gives -7.46 eV per atom.

Unit cell a=6.2659 b=6.0045 c=5.9705 alpha=59.81 beta=64.03 gamma=61.37
Last column: nearest neighbours and their distance in Å.
Atoms (fractional coordinates):
O (0.8743, 0.3724, 0.9029)  3 Fe 2.11-2.23, 1 Mg 2.20, 1 Co 2.23
O (0.8730, 0.8655, 0.3961)  2 Fe 2.02-2.04, 2 Co 2.16, 1 Mg 2.19
O (0.3770, 0.3845, 0.8539)  2 Fe 2.02-2.04, 2 Co 2.16, 1 Mg 2.19
Fe (0.6250, 0.6250, 0.1250)  6 O 1.97-2.11
Fe (0.1050, 0.9363, 0.0225)  2 O 1.90-2.02
O (0.4508, 0.8567, 0.8358)  2 Fe 1.90-1.97, 2 Co 1.95
Co (0.6250, 0.1250, 0.6250)  4 O 1.95-2.16
Fe (0.1250, 0.6250, 0.6250)  6 O 2.04-2.23
Co (0.6250, 0.6250, 0.6250)  4 O 1.95-2.16
O (0.7992, 0.3933, 0.4142)  2 Fe 1.90-1.97, 2 Co 1.95
O (0.8743, 0.8504, 0.9029)  3 Fe 2.11-2.23, 1 Mg 2.20, 1 Co 2.23
Mg (0.6250, 0.1250, 0.1250)  6 O 2.19-2.20
O (0.3757, 0.8776, 0.3471)  3 Fe 2.11-2.23, 1 Mg 2.20, 1 Co 2.23
Fe (0.1450, 0.3137, 0.2275)  2 O 1.90-2.02
O (0.3757, 0.3996, 0.3471)  3 Fe 2.11-2.23, 1 Mg 2.20, 1 Co 2.23